Source:
/*
{
  "formula": "C50H56F6N10O7S2",
  "method": "ωB97M-V/def2-TZVPD",
  "lumo_energy_ha": [-0.4466, -0.4358],
  "multiplicity": 2,
  "homo_lumo_gap_ev": [1.7591, 4.9837],
  "charge": 5,
  "species": ["N", "O", "O", "O", "C", "N", "C", "C", "C", "C", "C", "C", "C", "C", "N", "C", "C", "C", "H", "H", "H", "H", "H", "H", "H", "H", "H", "H", "H", "H", "H", "H", "C", "N", "C", "C", "C", "C", "C", "C", "C", "C", "N", "C", "C", "C", "H", "H", "H", "H", "H", "H", "H", "H", "H", "H", "H", "H", "H", "H", "C", "N", "C", "C", "C", "C", "C", "C", "C", "C", "N", "C", "C", "C", "H", "H", "H", "H", "H", "H", "H", "H", "H", "H", "H", "H", "H", "H", "C", "N", "C", "C", "C", "C", "C", "C", "C", "C", "N", "C", "C", "C", "H", "H", "H", "H", "H", "H", "H", "H", "H", "H", "H", "H", "H", "H", "C", "F", "F", "F", "S", "O", "O", "N", "S", "O", "O", "C", "F", "F", "F"],
*/
Activity:
Your job: repeat the block earlier on unchanged.
Done:
{
  "formula": "C50H56F6N10O7S2",
  "method": "ωB97M-V/def2-TZVPD",
  "lumo_energy_ha": [-0.4466, -0.4358],
  "multiplicity": 2,
  "homo_lumo_gap_ev": [1.7591, 4.9837],
  "charge": 5,
  "species": ["N", "O", "O", "O", "C", "N", "C", "C", "C", "C", "C", "C", "C", "C", "N", "C", "C", "C", "H", "H", "H", "H", "H", "H", "H", "H", "H", "H", "H", "H", "H", "H", "C", "N", "C", "C", "C", "C", "C", "C", "C", "C", "N", "C", "C", "C", "H", "H", "H", "H", "H", "H", "H", "H", "H", "H", "H", "H", "H", "H", "C", "N", "C", "C", "C", "C", "C", "C", "C", "C", "N", "C", "C", "C", "H", "H", "H", "H", "H", "H", "H", "H", "H", "H", "H", "H", "H", "H", "C", "N", "C", "C", "C", "C", "C", "C", "C", "C", "N", "C", "C", "C", "H", "H", "H", "H", "H", "H", "H", "H", "H", "H", "H", "H", "H", "H", "C", "F", "F", "F", "S", "O", "O", "N", "S", "O", "O", "C", "F", "F", "F"],